[Excerpt]
-- begin --
This record from Materials Project describes an optimized crystal structure of Li9Mn2Co5O16. The functional is GGA+U.

```
Li9Mn2Co5O16
1.0
1.453 10.481 0.000
-1.453 10.481 0.000
0.000 4.001 9.305
Li O Mn Co
9 16 2 5
Direct
0.622 0.622 0.060
0.126 0.126 0.313
0.375 0.375 0.437
0.878 0.878 0.179
0.874 0.874 0.687
0.625 0.625 0.563
0.122 0.122 0.821
0.378 0.378 0.940
0.500 0.500 0.000
0.308 0.308 0.656
0.556 0.556 0.774
0.808 0.808 0.406
0.059 0.059 0.053
0.053 0.053 0.536
0.692 0.692 0.344
0.807 0.807 0.905
0.192 0.192 0.594
0.947 0.947 0.464
0.444 0.444 0.226
0.691 0.691 0.843
0.309 0.309 0.157
0.941 0.941 0.947
0.446 0.446 0.708
0.554 0.554 0.292
0.193 0.193 0.095
0.001 0.001 0.244
0.999 0.999 0.756
0.751 0.751 0.125
0.249 0.249 0.875
0.500 0.500 0.500
0.750 0.750 0.625
0.250 0.250 0.375
```

Electronic total energy, eV per atom: -5.85
Space-group type: C2/m (12)
Total magnetic moment, μB/cell: 6.00
ΔH_f (0 K), meV per atom: -1856
Crystal system: monoclinic



This record from Materials Project describes an optimized crystal structure of MgV3CoSn2P6O24. The functional is GGA+U.

```
MgV3CoSn2P6O24
1.0
-4.004 0.054 8.300
-7.432 4.317 0.550
-7.269 -4.487 1.100
O P Co V Sn Mg
24 6 1 3 2 1
Direct
0.079 0.110 0.295
0.593 0.003 0.761
0.405 0.260 0.353
0.299 0.066 0.679
0.767 0.220 0.585
0.079 0.278 0.522
0.740 0.908 0.309
0.729 0.292 0.039
0.917 0.503 0.882
0.924 0.689 0.516
0.590 0.755 0.635
0.587 0.624 0.030
0.781 0.563 0.430
0.293 0.954 0.068
0.397 0.994 0.269
0.218 0.416 0.600
0.769 0.409 0.233
0.101 0.489 0.128
0.412 0.395 0.910
0.192 0.625 0.774
0.919 0.883 0.700
0.223 0.770 0.415
0.726 0.050 0.931
0.278 0.711 0.947
0.748 0.466 0.040
0.767 0.723 0.476
0.246 0.550 0.950
0.248 0.958 0.262
0.244 0.263 0.538
0.753 0.030 0.746
0.520 0.213 0.092
0.959 0.335 0.353
0.443 0.841 0.876
0.062 0.650 0.652
0.930 0.031 0.017
0.549 0.452 0.500
0.471 0.975 0.461
```

Electronic total energy, eV per atom: -7.17
Space-group type: P1 (1)
Total magnetic moment, μB/cell: 7.92
ΔH_f (0 K), meV per atom: -2521
Crystal system: triclinic



This record from Materials Project describes an optimized crystal structure of LiFeBO3. The functional is GGA+U.

```
LiFeBO3
1.0
-2.275 -2.499 3.892
5.947 -0.469 0.054
2.509 4.497 0.956
O Fe Li B
6 2 2 2
Direct
0.271 0.311 0.319
0.510 0.177 0.128
0.972 0.705 0.202
0.490 0.823 0.872
0.730 0.690 0.680
0.029 0.296 0.798
0.582 0.235 0.745
0.416 0.763 0.256
0.931 0.321 0.378
0.069 0.679 0.622
0.735 0.742 0.919
0.266 0.259 0.080
```

Electronic total energy, eV per atom: -6.93
Space-group type: P1 (1)
Total magnetic moment, μB/cell: 0.00
ΔH_f (0 K), meV per atom: -2329
Crystal system: triclinic



This record from Materials Project describes an optimized crystal structure of LiMnO7. The functional is GGA+U.

```
LiMnO7
1.0
3.807 -6.594 0.000
3.807 6.594 0.000
0.000 0.000 5.471
O Mn Li
14 2 2
Direct
0.449 0.898 0.159
0.667 0.333 0.053
0.209 0.104 0.241
0.449 0.551 0.159
0.551 0.449 0.659
0.104 0.209 0.741
0.896 0.104 0.241
0.791 0.896 0.741
0.102 0.551 0.159
0.896 0.791 0.241
0.551 0.102 0.659
0.898 0.449 0.659
0.333 0.667 0.553
0.104 0.896 0.741
0.667 0.333 0.757
0.333 0.667 0.257
0.000 0.000 0.490
0.000 0.000 0.990
```

Electronic total energy, eV per atom: -4.58
Space-group type: P6_3mc (186)
Total magnetic moment, μB/cell: 12.01
ΔH_f (0 K), meV per atom: -216
Crystal system: hexagonal

=====

1.
Nd4B4O11F2: relaxed, PBE-GGA.

```
data_Nd4B4O11F2
_cell_length_a 7.3804
_cell_length_b 7.3804
_cell_length_c 14.0496
_cell_angle_alpha 91.03
_cell_angle_beta 91.03
_cell_angle_gamma 37.47
_space_group_name_H-M_alt 'P 1'
_space_group_IT_number 1
loop_
_space_group_symop_operation_xyz
'x,y,z'
loop_
_atom_site_label
_atom_site_type_symbol
_atom_site_fract_x
_atom_site_fract_y
_atom_site_fract_z
_atom_site_occupancy
Nd1 Nd 0.0345 0.0821 0.3706 1
Nd2 Nd 0.0821 0.0345 0.8706 1
Nd3 Nd 0.1998 0.2419 0.1286 1
Nd4 Nd 0.2419 0.1998 0.6286 1
Nd5 Nd 0.7581 0.8002 0.3714 1
Nd6 Nd 0.8002 0.7581 0.8714 1
Nd7 Nd 0.9179 0.9655 0.1294 1
-- stop --

[Assignment]
What is needed: give back everything above exactly.

[Result]
This record from Materials Project describes an optimized crystal structure of Li9Mn2Co5O16. The functional is GGA+U.

```
Li9Mn2Co5O16
1.0
1.453 10.481 0.000
-1.453 10.481 0.000
0.000 4.001 9.305
Li O Mn Co
9 16 2 5
Direct
0.622 0.622 0.060
0.126 0.126 0.313
0.375 0.375 0.437
0.878 0.878 0.179
0.874 0.874 0.687
0.625 0.625 0.563
0.122 0.122 0.821
0.378 0.378 0.940
0.500 0.500 0.000
0.308 0.308 0.656
0.556 0.556 0.774
0.808 0.808 0.406
0.059 0.059 0.053
0.053 0.053 0.536
0.692 0.692 0.344
0.807 0.807 0.905
0.192 0.192 0.594
0.947 0.947 0.464
0.444 0.444 0.226
0.691 0.691 0.843
0.309 0.309 0.157
0.941 0.941 0.947
0.446 0.446 0.708
0.554 0.554 0.292
0.193 0.193 0.095
0.001 0.001 0.244
0.999 0.999 0.756
0.751 0.751 0.125
0.249 0.249 0.875
0.500 0.500 0.500
0.750 0.750 0.625
0.250 0.250 0.375
```

Electronic total energy, eV per atom: -5.85
Space-group type: C2/m (12)
Total magnetic moment, μB/cell: 6.00
ΔH_f (0 K), meV per atom: -1856
Crystal system: monoclinic



This record from Materials Project describes an optimized crystal structure of MgV3CoSn2P6O24. The functional is GGA+U.

```
MgV3CoSn2P6O24
1.0
-4.004 0.054 8.300
-7.432 4.317 0.550
-7.269 -4.487 1.100
O P Co V Sn Mg
24 6 1 3 2 1
Direct
0.079 0.110 0.295
0.593 0.003 0.761
0.405 0.260 0.353
0.299 0.066 0.679
0.767 0.220 0.585
0.079 0.278 0.522
0.740 0.908 0.309
0.729 0.292 0.039
0.917 0.503 0.882
0.924 0.689 0.516
0.590 0.755 0.635
0.587 0.624 0.030
0.781 0.563 0.430
0.293 0.954 0.068
0.397 0.994 0.269
0.218 0.416 0.600
0.769 0.409 0.233
0.101 0.489 0.128
0.412 0.395 0.910
0.192 0.625 0.774
0.919 0.883 0.700
0.223 0.770 0.415
0.726 0.050 0.931
0.278 0.711 0.947
0.748 0.466 0.040
0.767 0.723 0.476
0.246 0.550 0.950
0.248 0.958 0.262
0.244 0.263 0.538
0.753 0.030 0.746
0.520 0.213 0.092
0.959 0.335 0.353
0.443 0.841 0.876
0.062 0.650 0.652
0.930 0.031 0.017
0.549 0.452 0.500
0.471 0.975 0.461
```

Electronic total energy, eV per atom: -7.17
Space-group type: P1 (1)
Total magnetic moment, μB/cell: 7.92
ΔH_f (0 K), meV per atom: -2521
Crystal system: triclinic



This record from Materials Project describes an optimized crystal structure of LiFeBO3. The functional is GGA+U.

```
LiFeBO3
1.0
-2.275 -2.499 3.892
5.947 -0.469 0.054
2.509 4.497 0.956
O Fe Li B
6 2 2 2
Direct
0.271 0.311 0.319
0.510 0.177 0.128
0.972 0.705 0.202
0.490 0.823 0.872
0.730 0.690 0.680
0.029 0.296 0.798
0.582 0.235 0.745
0.416 0.763 0.256
0.931 0.321 0.378
0.069 0.679 0.622
0.735 0.742 0.919
0.266 0.259 0.080
```

Electronic total energy, eV per atom: -6.93
Space-group type: P1 (1)
Total magnetic moment, μB/cell: 0.00
ΔH_f (0 K), meV per atom: -2329
Crystal system: triclinic



This record from Materials Project describes an optimized crystal structure of LiMnO7. The functional is GGA+U.

```
LiMnO7
1.0
3.807 -6.594 0.000
3.807 6.594 0.000
0.000 0.000 5.471
O Mn Li
14 2 2
Direct
0.449 0.898 0.159
0.667 0.333 0.053
0.209 0.104 0.241
0.449 0.551 0.159
0.551 0.449 0.659
0.104 0.209 0.741
0.896 0.104 0.241
0.791 0.896 0.741
0.102 0.551 0.159
0.896 0.791 0.241
0.551 0.102 0.659
0.898 0.449 0.659
0.333 0.667 0.553
0.104 0.896 0.741
0.667 0.333 0.757
0.333 0.667 0.257
0.000 0.000 0.490
0.000 0.000 0.990
```

Electronic total energy, eV per atom: -4.58
Space-group type: P6_3mc (186)
Total magnetic moment, μB/cell: 12.01
ΔH_f (0 K), meV per atom: -216
Crystal system: hexagonal

=====

1.
Nd4B4O11F2: relaxed, PBE-GGA.

```
data_Nd4B4O11F2
_cell_length_a 7.3804
_cell_length_b 7.3804
_cell_length_c 14.0496
_cell_angle_alpha 91.03
_cell_angle_beta 91.03
_cell_angle_gamma 37.47
_space_group_name_H-M_alt 'P 1'
_space_group_IT_number 1
loop_
_space_group_symop_operation_xyz
'x,y,z'
loop_
_atom_site_label
_atom_site_type_symbol
_atom_site_fract_x
_atom_site_fract_y
_atom_site_fract_z
_atom_site_occupancy
Nd1 Nd 0.0345 0.0821 0.3706 1
Nd2 Nd 0.0821 0.0345 0.8706 1
Nd3 Nd 0.1998 0.2419 0.1286 1
Nd4 Nd 0.2419 0.1998 0.6286 1
Nd5 Nd 0.7581 0.8002 0.3714 1
Nd6 Nd 0.8002 0.7581 0.8714 1
Nd7 Nd 0.9179 0.9655 0.1294 1